
  • 网络commercial paper market
  1. 有资产担保的商业票据市场陷入停顿,各银行为将抵押贷款移至资产负债表外而建立的特殊投资工具(specialinvestmentvehicles),也不再能够获得外部融资。

    The asset-backed commercial paper market came to a standstill and the special investment vehicles set up by banks to get mortgages off their balance sheets could no longer get outside financing .

  2. 巴克莱资本(BarclaysCapital)固定收益研究部门负责人AjayRajadhyaksha说,Fed的这项计划应能“对商业票据市场缓解一定的压力”。

    The Fed 's program should'relieve a fair amount of the pressure on the commercial paper market , 'says Ajay Rajadhyaksha , head of fixed-income research at Barclays Capital .

  3. 美联储(federalreserve)发布的数据显示,商业票据市场投资额出现了自该机构2001年开始跟踪这一领域以来的最大单周下降。

    Data released by the US Federal Reserve showed the amount invested had its biggest weekly drop since the central bank began tracking the sector in 2001 .

  4. 巴克莱(Barclays)全球信贷策略主管罗伯特•麦卡迪(RobertMcAdie)表示:我们正处于一个小型的商业票据市场危机之中,至少其中一半的原因与结构性投资工具管道有关。

    We are in the middle of a mini-crisis in the commercial paper market , at least half of which is related to the SIV conduits , says Robert McAdie , global head of credit strategy at Barclays .

  5. 韩国央行副行长leeju-yeol说,为该基金提供流动性支持旨在帮助公司债券和商业票据市场上的资金实现顺利流动。

    ' the liquidity support for the fund is aimed at helping to smooth liquidity flow in the corporate bond and commercial paper ' markets , said Lee ju-yeol , a deputy governor at the central bank .

  6. 日本央行(boj)昨日表示,在资本市场活动急剧萎缩期间曾上升的银行信贷增长已连续第5个月放缓,反映出公司债券及商业票据市场的复苏。

    Growth in bank lending , which has risen amid a sharp contraction in capital market activity , also slowed for the fifth straight month , the Bank of Japan said yesterday , reflecting a recovery in the corporate bond and commercial paper markets .

  7. 雷曼灭亡扰乱了商业票据市场。

    The demise of Lehman disrupted the commercial paper market .

### Calculated crystals from another source follow
~~~
A plane-wave DFT calculation with PBE-GGA was carried out for a relaxed structure of LiNd2ZnIr2.

The space group is Ibam (No. 72) and the conventional cell measures 5.772, 14.704 and 5.798 Å, with angles of 90.00, 90.00 and 90.00 degrees. The distinct sites, in fractional coordinates, are Li at (0.000, 0.000, 0.250), Nd at (0.245, 0.169, 0.000), Zn at (0.000, 0.500, 0.250) and Ir at (0.242, 0.379, 0.000).

The magnetic moment is 0.00 μB per formula unit. As for the formation enthalpy at 0 K: -525 meV/atom. The value obtained for the energy is -5.60 eV/atom.

***

A plane-wave DFT calculation with PBE-GGA was carried out for a relaxed structure of LiNdZrIr.

The space group is F-43m (No. 216) and the conventional cell measures 6.894, 6.894 and 6.894 Å, with angles of 90.00, 90.00 and 90.00 degrees. The distinct sites, in fractional coordinates, are Li at (0.000, 0.000, 0.000), Nd at (0.250, 0.250, 0.750), Zr at (0.250, 0.250, 0.250) and Ir at (0.000, 0.000, 0.500).

The magnetic moment is 0.00 μB per formula unit. As for the formation enthalpy at 0 K: -322 meV/atom. The value obtained for the energy is -6.34 eV/atom.

***

A plane-wave DFT calculation with PBE-GGA was carried out for a relaxed structure of Li2Ni5Ir2.

The space group is Ima2 (No. 46) and the conventional cell measures 10.685, 9.193 and 4.584 Å, with angles of 90.00, 90.00 and 90.00 degrees. The distinct sites, in fractional coordinates, are Li at (0.115, 0.036, 0.000), Ni at (0.056, 0.746, 0.251), Ni at (0.143, 0.199, 0.497), Ni at (0.250, 0.679, 0.505), Ir at (0.000, 0.000, 0.499) and Ir at (0.250, 0.551, 0.004).

The magnetic moment is 3.38 μB per formula unit. As for the formation enthalpy at 0 K: 93 meV/atom. The value obtained for the energy is -5.51 eV/atom.

***

A plane-wave DFT calculation with PBE-GGA was carried out for a relaxed structure of Li2Ni6Ir.

The space group is P4_2/mnm (No. 136) and the conventional cell measures 7.549, 7.549 and 3.590 Å, with angles of 90.00, 90.00 and 90.00 degrees. The distinct sites, in fractional coordinates, are Li at (0.171, 0.171, 0.000), Ni at (0.001, 0.337, 0.500), Ni at (0.166, 0.834, 0.000) and Ir at (0.000, 0.000, 0.500).

The magnetic moment is 3.66 μB per formula unit. As for the formation enthalpy at 0 K: 18 meV/atom. The value obtained for the energy is -5.25 eV/atom.

***

A plane-wave DFT calculation with PBE-GGA was carried out for a relaxed structure of LiNiIr.

The space group is Imm2 (No. 44) and the conventional cell measures 2.556, 3.855 and 7.631 Å, with angles of 90.00, 90.00 and 90.00 degrees. The distinct sites, in fractional coordinates, are Li at (0.000, 0.000, 0.000), Ni at (0.000, 0.000, 0.671) and Ir at (0.000, 0.000, 0.329).

The magnetic moment is 1.00 μB per formula unit. As for the formation enthalpy at 0 K: 14 meV/atom. For the energy above the lowest structure with this stoichiometry, the calculation gives 0.44 eV/f.u. The value obtained for the energy is -5.50 eV/atom.

***
~~~

  8. 商业票据市场的融资成本也大幅下降。

    The cost of funding in the commercial paper market also tumbled .

  9. 商业票据市场的利率风险管理

    Interest Rate Risk Management in Commercial Bill Market

  10. 国际商业票据市场的发展与借鉴

    Evolution and Enlightenment of International Commercial Note Market

  11. 商业票据市场的比较研究

    Comparative Study on Commercial Paper Market

  12. 其次介绍商业票据市场利率风险的产生。

    Secondly , it introduces the coming into being of the interest rate risk in bill market .

  13. 直到6月中旬,欧洲商业票据市场的发行规模还在不断创纪录。

    As recently as mid-June , the European commercial paper market was seeing records levels of issuance .

  14. 金融商业票据市场的活跃进一步证明,银行业体系正在企稳。

    Further evidence that the banking system is stabilising is seen by activity in financial commercial paper .

  15. 随着商业票据市场的萎缩,银行不得不将更多贷款债权留在手中。

    With that market shrinking , banks have to hold on to more of the loans they make .

  16. 银行以信贷额度为这些管道提供支持,这些信贷额度可以使它们在商业票据市场上借贷。

    They supported these conduits with credit lines that enabled them to borrow in the commercial paper market .

  17. 货币市场基金是商业票据市场传统的主要投资者,而公司和银行需要借助这个市场获得短期融资。

    Money-market fund managers are traditionally large participants in the commercial-paper market , where companies and banks finance near-term obligations .

  18. 随后重点讲述我国商业票据市场加强利率风险管理的必要性。

    Thirdly , it pays attention to the necessary of enhance the interest rate risk management in the bill market .

  19. 美联储还制订了一个新的计划,用于支持已冻结的商业票据市场。

    The Fed has also announced a new program to provide support for the commercial paper market , which is freezing up .

  20. 要改变目前的现状,必须在完善银行承兑汇票市场的基础上,开发商业票据市场。

    To change the present situation , commercial paper market must be developed on the basis of perfecting bankers ' acceptance market .

  21. 这个市场中的一切,都取决于资产支持商业票据市场中的投资者对这些工具和它们持有的资产保持信念。

    Everything in this market depends on investors in the ABCP market maintaining their faith in the programmes and the assets they hold .

  22. 减债行动最终导致商业票据市场(即企业实体筹集短期融资的市场)爆发了企业信贷危机。

    The deleveraging also eventually contributed to a corporate credit crunch in the commercial paper market or the sector where entities raise short-term finance .

  23. 货币市场依然面临严峻压力,很多公司赖以为经营融资的商业票据市场基本陷于停滞。

    Money markets remained under severe stress and the commercial paper market used by many companies to fund their business operations was largely frozen .

  24. 昨日早些时候,投资者一度延续了转向高质量资产的避险行为,在规避深受打击的商业票据市场的同时,大举购买短期国债。

    Investors had initially poured into short-term government debt yesterday , extending a flight to quality as they shunned the stricken commercial paper market .

  25. 这导致许多企业难以甚至根本没可能对债券进行展期,还引发商业票据市场出现整体萎缩。

    That made it difficult or impossible for many companies to roll over their debt , and also caused the overall commercial paper market to shrink .

  26. 一家大型货币市场基金“跌破1美元”,依赖于商业票据市场的投资银行难以筹集到运营资金。

    A large money market fund " broke the buck " and investment banks that relied on the commercial paper market had difficulty financing their operations .

  27. 票据市场是货币市场的重要组成部分,包括商业票据市场和银行承兑汇票市场。

    The Bill Market is an essential part of the Currency Market , including the Commercial Bill Market and the Bank 's Acceptance of Bill Market .

  28. 昨日市场继续保持紧张态势,原因之一是新数据显示商业票据市场继续紧缩。

    It also came on a day of continued market nerves , caused not least by new figures showing the continued contraction of the commercial paper market .

  29. 近年来,这些筹资额度鲜有减少,因为就像金融世界几乎所有其它领域一样,资产支持商业票据市场的流动性也一直比较丰沛。

    These funding lines have rarely been drawn in recent years , because liquidity has been abundant in the ABCP market as almost everywhere else in the financial world .

  30. 到8月初,资产支持商业票据市场的问题已变得非常严重,一些欧洲银行开始准备进一步呼吁为结构性投资工具提供信贷额度。

    By early August , the problems in the ABCP market had become so serious that some European banks were preparing for additional calls on credit lines to SIVs .